It remains to set down the notes below from the first line to the one with "484 meV" unchanged.

........
Material: TaCr3Cu2S8
Method: DFT, PBE
State: optimized geometry

Values from the calculation:
The energy above the most stable polymorph in this dataset comes out at 228 kJ/mol of formula units. Its energy relative to the elements, uncorrected is -0.54 eV per atom. The value obtained for the calculated volume is 17.5 Å³ per atom. The calculation puts the total magnetization at 0.62 μB per atom.

Structure (CIF):
```
data_TaCr3Cu2S8
_chemical_formula_sum 'Ta2 Cr6 Cu4 S16'
_space_group_name_H-M_alt 'P m c 21'
_space_group_IT_number 26
_space_group_name_Hall 'P 2c -2'
_cell_length_a 3.448
_cell_length_b 13.038
_cell_length_c 10.888
_cell_angle_alpha 90.00
_cell_angle_beta 90.00
_cell_angle_gamma 90.00
loop_
_atom_site_label
_atom_site_type_symbol
_atom_site_fract_x
_atom_site_fract_y
_atom_site_fract_z
_atom_site_occupancy
Ta1 Ta 0.000 0.122 0.000 1
Cr1 Cr 0.000 0.403 0.552 1
Cr2 Cr 0.500 0.177 0.649 1
Cr3 Cr 0.500 0.316 0.192 1
Cu1 Cu 0.000 0.475 0.798 1
Cu2 Cu 0.500 0.151 0.377 1
S1 S 0.000 0.117 0.782 1
S2 S 0.000 0.177 0.225 1
S3 S 0.000 0.227 0.512 1
S4 S 0.000 0.424 0.124 1
S5 S 0.500 0.012 0.526 1
S6 S 0.500 0.256 0.986 1
S7 S 0.500 0.356 0.702 1
S8 S 0.500 0.421 0.393 1
```

* * * * *

The following is a GGA-PBE calculation of a geometry-optimized FeTeP2 structure, from the Alexandria database.

Calculated values
- calculated volume (Å³ per atom) = 17.5
- electronic total energy (eV for the cell shown) = -21.8

The structure in POSCAR format:
```
FeTeP2
1.0
7.8038 0.0515 0.0307
7.1008 3.2374 0.0307
7.1008 1.5669 2.8331
Fe P Te
1 2 1
Direct
0.7500 0.7500 0.7500 Fe
0.0289 0.0289 0.0289 P
0.4711 0.4711 0.4711 P
0.2500 0.2500 0.2500 Te
```

* * * * *

1.
First-principles (PBE-GGA) data for an optimized crystal structure of Al2NiPb, as listed in Alexandria via LeMat-Bulk.

abc: 3.856 4.162 5.127
angles: 90.00 108.90 90.00
Sites, in units of the cell vectors:
Al (0.136, 0.000, 0.290)
Al (0.864, 0.000, 0.710)
Ni (0.000, 0.500, 0.500)
Pb (0.500, 0.500, 0.000)

Properties
* space-group type: P2/m
* total magnetization: 0.0 μB/cell
* VASP energy: -16.52 eV for the cell shown

***

2.
First-principles (PBE-GGA) data for an optimized crystal structure of BaReSb2, as listed in Alexandria via LeMat-Bulk.

abc: 6.047 6.047 6.047
angles: 134.85 134.85 65.76
Sites, in units of the cell vectors:
Ba (0.000, 0.000, 0.000)
Re (0.250, 0.750, 0.500)
Sb (0.500, 0.500, 0.000)
Sb (0.750, 0.250, 0.500)

Properties
* space-group type: I-4m2
* polymorph energy (0 for the lowest one): 787 meV per atom
* energy relative to the elements, uncorrected: 2.904 eV/f.u.
* total magnetization: 2.6 μB/cell
* VASP energy: -19.71 eV for the cell shown

***

3.
First-principles (PBE-GGA) data for an optimized crystal structure of TlSe2Br, as listed in Alexandria via LeMat-Bulk.

abc: 7.218 7.218 7.218
angles: 119.24 119.24 91.32
Sites, in units of the cell vectors:
Tl (0.000, 0.000, 0.000)
Tl (0.750, 0.250, 0.500)
Se (0.099, 0.625, 0.974)
Se (0.375, 0.349, 0.474)
Se (0.651, 0.125, 0.026)
Se (0.875, 0.901, 0.526)
Br (0.250, 0.750, 0.500)
Br (0.500, 0.500, 0.000)

Properties
* space-group type: I-42d
* polymorph energy (0 for the lowest one): 484 meV per atom
* energy relative to the elements, uncorrected: 0.834 eV/f.u.
* total magnetization: 0.0 μB/cell
* VASP energy: -20.35 eV for the cell shown

***

4.
First-principles (PBE-GGA) data for an optimized crystal structure of Nb2Sn2Rh3, as listed in Alexandria via LeMat-Bulk.

abc: 4.002 5.104 6.547
angles: 83.38 89.99 66.93
Sites, in units of the cell vectors:
Nb (0.134, 0.231, 0.419)
Nb (0.866, 0.769, 0.581)
Sn (0.411, 0.678, 0.239)
Sn (0.589, 0.322, 0.761)
Rh (0.000, 0.500, 0.000)
Rh (0.296, 0.909, 0.824)
Rh (0.704, 0.091, 0.176)

Properties
* space-group type: P-1
* total magnetization: 0.0 μB/cell
* VASP energy: -52.17 eV for the cell shown

***

5.
First-principles (PBE-GGA) data for an optimized crystal structure of Sr2PdSe, as listed in Alexandria via LeMat-Bulk.

abc: 7.789 7.789 7.789
........

Material: TaCr3Cu2S8
Method: DFT, PBE
State: optimized geometry

Values from the calculation:
The energy above the most stable polymorph in this dataset comes out at 228 kJ/mol of formula units. Its energy relative to the elements, uncorrected is -0.54 eV per atom. The value obtained for the calculated volume is 17.5 Å³ per atom. The calculation puts the total magnetization at 0.62 μB per atom.

Structure (CIF):
```
data_TaCr3Cu2S8
_chemical_formula_sum 'Ta2 Cr6 Cu4 S16'
_space_group_name_H-M_alt 'P m c 21'
_space_group_IT_number 26
_space_group_name_Hall 'P 2c -2'
_cell_length_a 3.448
_cell_length_b 13.038
_cell_length_c 10.888
_cell_angle_alpha 90.00
_cell_angle_beta 90.00
_cell_angle_gamma 90.00
loop_
_atom_site_label
_atom_site_type_symbol
_atom_site_fract_x
_atom_site_fract_y
_atom_site_fract_z
_atom_site_occupancy
Ta1 Ta 0.000 0.122 0.000 1
Cr1 Cr 0.000 0.403 0.552 1
Cr2 Cr 0.500 0.177 0.649 1
Cr3 Cr 0.500 0.316 0.192 1
Cu1 Cu 0.000 0.475 0.798 1
Cu2 Cu 0.500 0.151 0.377 1
S1 S 0.000 0.117 0.782 1
S2 S 0.000 0.177 0.225 1
S3 S 0.000 0.227 0.512 1
S4 S 0.000 0.424 0.124 1
S5 S 0.500 0.012 0.526 1
S6 S 0.500 0.256 0.986 1
S7 S 0.500 0.356 0.702 1
S8 S 0.500 0.421 0.393 1
```

* * * * *

The following is a GGA-PBE calculation of a geometry-optimized FeTeP2 structure, from the Alexandria database.

Calculated values
- calculated volume (Å³ per atom) = 17.5
- electronic total energy (eV for the cell shown) = -21.8

The structure in POSCAR format:
```
FeTeP2
1.0
7.8038 0.0515 0.0307
7.1008 3.2374 0.0307
7.1008 1.5669 2.8331
Fe P Te
1 2 1
Direct
0.7500 0.7500 0.7500 Fe
0.0289 0.0289 0.0289 P
0.4711 0.4711 0.4711 P
0.2500 0.2500 0.2500 Te
```

* * * * *

1.
First-principles (PBE-GGA) data for an optimized crystal structure of Al2NiPb, as listed in Alexandria via LeMat-Bulk.

abc: 3.856 4.162 5.127
angles: 90.00 108.90 90.00
Sites, in units of the cell vectors:
Al (0.136, 0.000, 0.290)
Al (0.864, 0.000, 0.710)
Ni (0.000, 0.500, 0.500)
Pb (0.500, 0.500, 0.000)

Properties
* space-group type: P2/m
* total magnetization: 0.0 μB/cell
* VASP energy: -16.52 eV for the cell shown

***

2.
First-principles (PBE-GGA) data for an optimized crystal structure of BaReSb2, as listed in Alexandria via LeMat-Bulk.

abc: 6.047 6.047 6.047
angles: 134.85 134.85 65.76
Sites, in units of the cell vectors:
Ba (0.000, 0.000, 0.000)
Re (0.250, 0.750, 0.500)
Sb (0.500, 0.500, 0.000)
Sb (0.750, 0.250, 0.500)

Properties
* space-group type: I-4m2
* polymorph energy (0 for the lowest one): 787 meV per atom
* energy relative to the elements, uncorrected: 2.904 eV/f.u.
* total magnetization: 2.6 μB/cell
* VASP energy: -19.71 eV for the cell shown

***

3.
First-principles (PBE-GGA) data for an optimized crystal structure of TlSe2Br, as listed in Alexandria via LeMat-Bulk.

abc: 7.218 7.218 7.218
angles: 119.24 119.24 91.32
Sites, in units of the cell vectors:
Tl (0.000, 0.000, 0.000)
Tl (0.750, 0.250, 0.500)
Se (0.099, 0.625, 0.974)
Se (0.375, 0.349, 0.474)
Se (0.651, 0.125, 0.026)
Se (0.875, 0.901, 0.526)
Br (0.250, 0.750, 0.500)
Br (0.500, 0.500, 0.000)

Properties
* space-group type: I-42d
* polymorph energy (0 for the lowest one): 484 meV per atom